----------------------------------------------------------- This is an automatically generated e-mail. To reply, visit: http://reviewboard-openlmi.rhcloud.com/r/271/ -----------------------------------------------------------
Review request for OpenLMI Developers.
Repository: openlmi-storage
Description -------
Use mountpoint as transient filesystem identifier.
While Blivet creates dummy StorageDevice instances for non-device filesystems, these devices do not have any stable indentifier and it's not possible to locate them reliably.
We should identify transient filesystems by their mount point, which usually do not change.
Diffs -----
src/openlmi/storage/LMI_TransientFileSystem.py PRE-CREATION
Diff: http://reviewboard-openlmi.rhcloud.com/r/271/diff/
Testing -------
Jan Safranek
----------------------------------------------------------- This is an automatically generated e-mail. To reply, visit: http://reviewboard-openlmi.rhcloud.com/r/271/#review316 -----------------------------------------------------------
Ship it!
<<<
TlBiP2S7 | Materials Project | PBE | relaxed; E_tot = -0.166 hartree per atom; total moment = 0.0 μB/f.u.; calculated formation energy = -0.643 eV per atom
1.0
9.7693 0.0000 0.0000
0.0000 12.6259 0.0000
-0.0720 0.0000 9.1961
Tl Bi P S
4 4 8 28
Direct
0.1172 0.1879 0.1201
0.1172 0.3121 0.6201
0.8828 0.6879 0.3799
0.8828 0.8121 0.8799
0.3445 0.6369 0.6225
0.3445 0.8631 0.1225
0.6555 0.1369 0.8775
0.6555 0.3631 0.3775
0.2246 0.6059 0.9813
0.2246 0.8941 0.4813
0.3205 0.0363 0.8012
0.3205 0.4637 0.3012
0.6795 0.5363 0.6988
0.6795 0.9637 0.1988
0.7754 0.1059 0.5187
0.7754 0.3941 0.0187
0.1214 0.7085 0.1105
0.1214 0.7915 0.6105
0.1294 0.5554 0.7951
0.1294 0.9446 0.2951
0.1701 0.5286 0.4276
0.1701 0.9714 0.9276
0.2485 0.0469 0.5809
0.2485 0.4531 0.0809
0.3485 0.1914 0.8479
0.3485 0.3086 0.3479
0.4065 0.6742 0.9286
0.4065 0.8258 0.4286
0.4941 0.5521 0.3162
0.4941 0.9479 0.8162
0.5059 0.0521 0.1838
0.5059 0.4479 0.6838
0.5935 0.1742 0.5714
0.5935 0.3258 0.0714
0.6515 0.6914 0.6521
0.6515 0.8086 0.1521
0.7515 0.5469 0.9191
0.7515 0.9531 0.4191
0.8299 0.0286 0.0724
0.8299 0.4714 0.5724
0.8706 0.0554 0.7049
0.8706 0.4446 0.2049
0.8786 0.2085 0.3895
0.8786 0.2915 0.8895

* * * * *

No. 1
# Mg4Ti3

Mg4Ti3 after structural relaxation (PBE-GGA, the Materials Project database).

Its space-group type is P6_3/m. As for the magnetization: 1.36 μB/f.u. For the relative energy among the computed polymorphs, the calculation gives 0.000 eV/atom. For the calculated formation energy, the calculation gives 0.9 eV/f.u. Its electronic total energy is -58.4 eV for the cell shown.

```
Mg4Ti3
1.0
8.1941 0.0000 0.0000
-4.0970 7.0963 0.0000
0.0000 0.0000 4.8841
Mg Ti
8 6
Direct
0.0892 0.6258 0.2500
0.3333 0.6667 0.7500
0.3742 0.4633 0.2500
0.4633 0.0892 0.7500
0.5367 0.9108 0.2500
0.6258 0.5367 0.7500
0.6667 0.3333 0.2500
0.9108 0.3742 0.7500
0.0414 0.8291 0.7500
0.1709 0.2123 0.7500
0.2123 0.0414 0.2500
0.7877 0.9586 0.7500
0.8291 0.7877 0.2500
0.9586 0.1709 0.2500
```


No. 2
# K3CeP2S8

K3CeP2S8 after structural relaxation (PBE-GGA, the Materials Project database).

Its space-group type is P2_1/c. As for the magnetization: 1.00 μB/f.u. For the calculated formation energy, the calculation gives -18.7 eV/f.u. Its electronic total energy is -271.2 eV for the cell shown.

```
K3CeP2S8
1.0
9.2016 0.0000 0.0000
0.0000 17.3276 0.0000
-0.0228 0.0000 9.6704
K Ce P S
12 4 8 32
Direct
0.1160 0.2117 0.1309
0.1160 0.2883 0.6309
0.2309 0.0281 0.5136
0.2309 0.4719 0.0136
0.3784 0.7060 0.8749
0.3784 0.7940 0.3749
0.6216 0.2060 0.6251
0.6216 0.2940 0.1251
0.7691 0.5281 0.9864
0.7691 0.9719 0.4864
0.8840 0.7117 0.3691
0.8840 0.7883 0.8691
0.2757 0.5133 0.4718
0.2757 0.9867 0.9718
0.7243 0.0133 0.0282
0.7243 0.4867 0.5282
0.0245 0.5982 0.7193
0.0245 0.9018 0.2193
0.4950 0.1018 0.2426
0.4950 0.3982 0.7426
0.5050 0.6018 0.2574
0.5050 0.8982 0.7574
0.9755 0.0982 0.7807
0.9755 0.4018 0.2807
0.0404 0.0193 0.1792
0.0404 0.4807 0.6792
0.0649 0.6258 0.9190
0.0649 0.8742 0.4190
0.1657 0.6550 0.5900
>>>
Ship It!
- Jan Synacek
On April 26, 2013, 12:37 p.m., Jan Safranek wrote:
This is an automatically generated e-mail. To reply, visit: http://reviewboard-openlmi.rhcloud.com/r/271/
(Updated April 26, 2013, 12:37 p.m.)
Review request for OpenLMI Developers.
Repository: openlmi-storage
Use mountpoint as transient filesystem identifier.
While Blivet creates dummy StorageDevice instances for non-device filesystems, these devices do not have any stable indentifier and it's not possible to locate them reliably.
We should identify transient filesystems by their mount point, which usually do not change.
src/openlmi/storage/LMI_TransientFileSystem.py PRE-CREATION
Diff: http://reviewboard-openlmi.rhcloud.com/r/271/diff/
Jan Safranek
----------------------------------------------------------- This is an automatically generated e-mail. To reply, visit: http://reviewboard-openlmi.rhcloud.com/r/271/ -----------------------------------------------------------
(Updated April 30, 2013, 9:11 a.m.)
Status ------
This change has been marked as submitted.
Review request for OpenLMI Developers.
Repository: openlmi-storage
Description -------
Use mountpoint as transient filesystem identifier.
While Blivet creates dummy StorageDevice instances for non-device filesystems, these devices do not have any stable indentifier and it's not possible to locate them reliably.
We should identify transient filesystems by their mount point, which usually do not change.
Diffs -----
src/openlmi/storage/LMI_TransientFileSystem.py PRE-CREATION
Diff: http://reviewboard-openlmi.rhcloud.com/r/271/diff/
Testing -------
The piece is interrupted by crystal structures:
-- begin --
Record 1
CaB2H10O9 PBE-GGA optimized geometry; SG = P-1, No. 2; size of the total moment = 0.00 μB/f.u.; final energy = -257.2 eV/cell; energy of formation = -1.862 eV/atom
1.0
6.5290 0.0000 0.0000
2.1850 7.5152 0.0000
2.9892 2.1562 7.2494
Ca B H O
2 4 20 18
direct
0.0954 0.0026 0.2360 Ca
0.9046 0.9974 0.7640 Ca
0.1243 0.3207 0.8419 B
0.3498 0.9975 0.7926 B
0.6502 0.0025 0.2074 B
0.8757 0.6793 0.1581 B
0.0907 0.6736 0.6042 H
0.1487 0.2528 0.4225 H
0.1760 0.4005 0.0400 H
0.2098 0.6947 0.0489 H
0.2623 0.4915 0.2742 H
0.3051 0.4305 0.4774 H
0.3782 0.4804 0.6926 H
0.3980 0.9247 0.4427 H
0.4108 0.7686 0.7003 H
0.4931 0.1776 0.0073 H
0.5069 0.8224 0.9927 H
0.5892 0.2314 0.2997 H
0.6020 0.0753 0.5573 H
0.6218 0.5196 0.3074 H
0.6949 0.5695 0.5226 H
0.7377 0.5085 0.7258 H
0.7902 0.3053 0.9511 H
0.8240 0.5995 0.9600 H
0.8513 0.7472 0.5775 H
0.9093 0.3264 0.3958 H
0.0099 0.2092 0.4436 O
0.1180 0.5946 0.1207 O
0.1533 0.1451 0.8057 O
0.2055 0.2851 0.0030 O
0.2404 0.4658 0.6800 O
0.3025 0.8860 0.6976 O
0.3541 0.8811 0.9841 O
0.3604 0.4078 0.3524 O
0.4317 0.9416 0.3096 O
0.5683 0.0584 0.6904 O
0.6396 0.5922 0.6476 O
0.6459 0.1189 0.0159 O
0.6975 0.1140 0.3024 O
0.7597 0.5342 0.3200 O
0.7945 0.7149 0.9970 O
0.8467 0.8549 0.1943 O
0.8820 0.4054 0.8793 O
0.9901 0.7908 0.5564 O

=====

Record 2
CaB2H2O7 PBE-GGA optimized geometry; SG = P-1, No. 2; size of the total moment = 1.00 μB/f.u.; final energy = -154.0 eV/cell; energy of formation = -2.084 eV/atom
1.0
6.0371 0.0000 0.0000
1.2707 6.7191 0.0000
2.5262 1.3742 6.5157
Ca B H O
2 4 4 14
direct
0.1609 0.2053 0.4696 Ca
0.8391 0.7947 0.5304 Ca
0.3551 0.6819 0.9140 B
0.3717 0.7001 0.5254 B
0.6283 0.2999 0.4746 B
0.6449 0.3181 0.0860 B
0.1519 0.4622 0.9846 H
0.4283 0.7392 0.1474 H
0.5717 0.2608 0.8526 H
0.8481 0.5378 0.0154 H
0.0239 0.9930 0.9102 O
0.1670 0.5710 0.0439 O
0.2261 0.8664 0.4560 O
0.2457 0.5166 0.5632 O
0.3818 0.3207 0.6398 O
0.4380 0.7148 0.7046 O
0.4757 0.7677 0.9975 O
0.5243 0.2323 0.0025 O
0.5620 0.2852 0.2954 O
0.6182 0.6793 0.3602 O
0.7543 0.4834 0.4368 O
0.7739 0.1336 0.5440 O
0.8330 0.4290 0.9561 O
0.9761 0.0070 0.0898 O

=====

Record 3
CaB2H4O6 PBE-GGA optimized geometry; SG = P2_1/c, No. 14; size of the total moment = 0.00 μB/f.u.; final energy = -670.9 eV/cell; energy of formation = -2.259 eV/atom; distance to the lowest polymorph of the same formula = 0.002 eV per atom
1.0
7.0252 0.0000 0.0000
0.0000 12.4575 0.0000
-5.7708 0.0000 9.8371
Ca B H O
8 16 32 48
direct
0.0633 0.2390 0.2616 Ca
0.0633 0.2610 0.7616 Ca
0.4154 0.1007 0.6355 Ca
0.4154 0.3993 0.1355 Ca
0.5846 0.6007 0.8645 Ca
0.5846 0.8993 0.3645 Ca
0.9367 0.7390 0.2384 Ca
0.9367 0.7610 0.7384 Ca
0.0798 0.5090 0.8367 B
0.0798 0.9910 0.3367 B
0.1936 0.6973 0.5951 B
0.1936 0.8027 0.0951 B
0.3455 0.6514 0.0201 B
0.3455 0.8486 0.5201 B
0.4492 0.6646 0.2652 B
0.4492 0.8354 0.7652 B
0.5508 0.1646 0.2348 B
0.5508 0.3354 0.7348 B
0.6545 0.1514 0.4799 B
0.6545 0.3486 0.9799 B
0.8064 0.1973 0.9049 B
0.8064 0.3027 0.4049 B
0.9202 0.0090 0.6633 B
-- stop --
Jan Safranek